
Operation Don't Crash Out Lance

Ol' Webcor Pro Greg Drake wrote up this story.... Its a great first person account of a Neo Pro's first big race.

So I was racing in the 2002 SF Grand Prix, with Lance or course. I was completely intimidated by everything around me. I had been a Cat 2 for a couple months, a Cat 3 for a couple months before that, a Cat 4 for a month before that, and a Cat 5...well you get the picture. I hadn't been racing road bikes very long.

Anyway, I spent the whole night before the race waking up every hour or so with nerves raging. The little sleep I got was punctuated with dreams of crashing out Lance.

In the morning I tossed aside all my delusions of soloing in for the
win and decided that my one overarching goal (besides clipping in
properly at the start) was that I did not want to be That Guy Who
Crashed Out Lance.

Since Webcor was a major sponsor of the race our team was called up
to the start line, along with Postal. Operation Don't Crash Out
Lance was going to have to start a bit earlier than anticipated but
so be it. I managed to stage at least ten feet away from Lance at
this point so I was feeling some early success. After the gun went
off I clumsily clipped into my pedals and we were off.

I was pretty much hanging on for dear life after the gun went off so
I wasn't necessarily oozing with cogent reasoning. I quickly
reverted to a non-Lance subgoal which was to NOT be The First Guy

Luckily there were an unlucky Schroder Iron guy who dropped a chain
up Fillmore the first time up so I checked that one off my list.

But just as I was basking in the shadenfreude at the top of Fillmore
and reverting to my overarching race goal, I unwittingly became The
Jerk Who Let A Gap Form. Fortunately a guy from Cippolini's team who
was barking some really cool sounding Italian phrases gave me a
really hard push on the rump that literally flung me up the road. I
almost closed the gap - well not really. But at least I kept
pedealing. Another Italian with yet more incoherent, yet undoubtedly
profane Italian phrases came around me and mopped up my mess.

Now fast foward to lap two or three and we're on the flats out by
the Marina. I guess a break went up the road as things apparently
mellowed out with guys easing up a bit, grabbing drinks and
chatting. I say apparently because I was still hovering at lactate
threshold and I just couldn't relax, tailgunning it in the back of
the pack with a death-grip on the handlebars.

All of a sudden I see Lance kind of drifting back a bit throught the
pack to my right. And then I again remembered overarching goal
numero uno. In my foggy state I decided that the safest place for me
would be right behind him. I couldn't take him out and figured
others would feel the same way, maybe creating this small protective
oasis where nothing bad could happen. I just had to make sure I
braked early and often and everything would be just fine.

Between two parts of the article: records of crystals >
********
DFT (GGA-PBE) results for a geometry-optimized YZr2UN4 structure.

* formation energy from raw total energies: -1.619 eV/atom
* D(E_F): 5.5 states/eV/cell
* calculated total energy: -10.14 eV/atom

Unit cell a=4.7548 b=4.7548 c=5.7912 alpha=114.24 beta=114.24 gamma=90.00
Atoms (fractional coordinates):
U (0.7500, 0.2500, 0.5000)
N (0.2452, 0.2452, 0.4903)
N (0.9924, 0.4924, 0.9848)
N (0.7548, 0.7548, 0.5097)
N (0.5076, 0.0076, 0.0152)
Y (0.5000, 0.5000, 0.0000)
Zr (0.0000, 0.0000, 0.0000)
Zr (0.2500, 0.7500, 0.5000)
********
Back to the article >

I then noticed several other Postal teammates drift back so I just
dangled several feet behind Lance as we rounded the north end of the
course and meandered back toward the climbs.

I must have been concentrating too hard or maybe just not paying any
attention all, because suddenly the Postal boys and I were slightly
off the back. I didn't panic because after all, I was following
Lance. What could possibly go wrong?

I found out as I'm staring at the ground and and see water droplets
near my front wheel. I looked up and yeah, I was the Rookie That Got
Peed On By Lance.

And this time, I closed the gap to the pack all by myself.

-Greg Drake


New D3 Teams in 2007

I love figuring out the new Teams. This year there is only one weird wild card... but here is my take on all the new guys on the block.

BMC Racing - I like these guys, Jackson Stewart, Sayers, Moniger, Schmatz and Alexander Moos. These guys should be one of the new powerhouses out there.

Kelly Benefits - McCook, Perras, Spinelli, and Bouchard-Hall who dropped off the radar for a while. This Baltimore team is going to a whole new level. They shoudl rock the crit scene with McCook and some strong leadout guys.

Rock Racing - These guys are fascinating. No roster, no website, just a link and a contact name. The contact is a coach from LA with a business called RadSport. Both the names on the website are involved with a project called Las Vegas City of Sports, an ambitous sports related casino complex in Nevada. The primary source, Haldane Morris, is an ex racer and was apparently funding some of Rashan Bahti's comeback. While researching this some one Pro dropped his salary info in a post... $14k, if you don't want to go looking for it. Anyway... more on this group as it comes available.

Team Slipstream - They are not new, but they are going big time. Now that we know they are funded by a rich dude from NYC, who is not Mengoni, perhaps they will have enough dough to pick up Landis. Either way thise guys look good on paper... Pate, Eusar, Lewis, McCarty, and a few euro pro's for good measure.